## Brief
Repeat the whole of the rows below without altering anything.
## Data
~~~
1.
ORCA calculation (ωB97M-V/def2-TZVPD) on a 23-piece molecular cluster, C52H157N31O23 overall at a distorted geometry.

Geometry as ORCA input:
```
! wB97M-V def2-TZVPD RIJCOSX def2/J DEFGRID3
* xyz 0 1
C 6.221 -0.104 4.841
O 5.598 0.906 4.452
N 5.873 -1.271 4.308
N 7.158 0.045 5.829
H 6.247 -2.106 4.803
H 4.952 -1.328 3.865
H 7.439 1.019 6.034
H 7.969 -0.513 6.038
C -6.892 -1.307 1.654
O -5.954 -1.148 2.437
N -7.522 -2.488 1.540
N -7.277 -0.372 0.806
H -8.427 -2.656 1.121
H -7.085 -3.267 1.971
H -7.739 -0.713 -0.030
H -6.689 0.485 0.898
C -0.529 -7.292 -0.660
O -0.345 -6.133 -0.264
N -1.786 -7.583 -1.059
N 0.584 -8.162 -0.765
H -2.059 -8.431 -1.510
H -2.423 -6.805 -1.098
H 0.586 -9.184 -0.829
H 1.462 -7.746 -0.449
C -2.755 -0.080 3.300
O -1.572 0.049 3.494
N -3.794 -0.208 4.209
N -3.268 0.005 2.094
H -3.517 -0.237 5.209
H -4.536 -0.787 3.847
H -4.274 -0.221 1.960
H -2.652 -0.022 1.291
C 2.373 -1.061 3.801
O 3.392 -1.484 3.264
N 2.489 -0.079 4.794
N 1.082 -1.595 3.566
H 1.674 0.446 5.175
H 3.403 0.102 5.177
H 0.295 -1.040 3.896
H 0.994 -2.049 2.678
C -0.207 3.173 3.108
O 0.116 4.338 3.292
N 0.708 2.203 3.291
N -1.390 2.863 2.586
H 1.504 2.516 3.810
H 0.607 1.216 3.084
H -2.081 3.648 2.502
H -1.699 1.945 2.856
C 3.822 2.714 2.110
O 3.225 3.361 1.259
N 3.836 1.374 2.096
N 4.555 3.381 3.063
H 3.351 1.041 1.280
H 4.354 0.750 2.747
H 5.368 2.864 3.351
H 4.920 4.279 2.763
C 0.637 4.833 -0.631
O 0.575 5.230 -1.793
N 0.274 5.536 0.452
N 1.149 3.663 -0.399
H 0.504 5.262 1.438
H 0.361 6.527 0.310
H 1.523 3.145 -1.226
H 1.554 3.370 0.473
C 3.869 -2.310 -7.210
O 4.654 -3.198 -6.909
N 3.881 -1.052 -6.518
N 2.934 -2.571 -8.277
H 4.553 -1.244 -5.757
H 3.091 -0.477 -6.177
H 2.374 -1.781 -8.632
H 3.259 -3.285 -8.922
C 4.656 -0.810 -2.902
O 4.923 -0.077 -3.827
N 5.345 -1.838 -2.415
N 3.502 -0.613 -2.166
H 5.014 -2.465 -1.713
H 6.001 -2.287 -3.028
H 3.436 -0.886 -1.199
H 2.987 0.250 -2.375
C -3.487 -1.416 -6.682
O -3.448 -1.077 -7.839
N -3.577 -2.725 -6.337
N -3.580 -0.488 -5.616
H -3.626 -3.028 -5.356
H -3.290 -3.401 -7.029
H -2.997 -0.800 -4.855
H -3.362 0.453 -5.975
C 2.432 2.867 -3.840
O 2.142 2.174 -2.881
N 1.913 4.097 -4.103
N 3.287 2.284 -4.776
H 2.354 4.681 -4.783
H 1.260 4.486 -3.487
H 3.977 2.795 -5.271
H 3.729 1.390 -4.449
C -2.932 -3.661 0.980
C -1.838 -3.517 2.045
C -2.163 -4.483 3.169
O -0.485 -3.659 1.480
H -2.731 -3.016 0.123
H -3.909 -3.365 1.353
H -2.969 -4.681 0.646
H -1.845 -2.468 2.297
H -1.855 -5.464 2.896
H -3.203 -4.385 3.494
H -1.618 -4.226 4.052
H -0.521 -4.448 0.907
C -0.100 -0.573 -2.154
C -0.588 -0.622 -0.755
C 0.241 0.193 0.150
O -1.964 -0.253 -0.607
H -0.095 0.445 -2.537
H -0.760 -1.196 -2.790
H 0.958 -0.900 -2.222
H -0.548 -1.634 -0.345
H -0.032 0.061 1.197
H 0.150 1.279 -0.056
H 1.321 -0.027 -0.019
H -2.237 0.468 -1.228
C -4.719 5.510 2.667
C -5.191 4.061 2.359
C -5.542 3.317 3.632
O -6.332 4.094 1.504
H -4.405 6.026 1.744
H -3.943 5.647 3.446
H -5.564 6.122 3.016
H -4.427 3.450 1.879
H -5.804 2.268 3.436
H -6.349 3.779 4.202
H -4.729 3.264 4.352
H -6.807 4.939 1.574
C 3.189 -4.407 -0.537
C 2.935 -3.790 0.820
C 2.725 -4.835 1.839
O 4.047 -2.968 1.112
H 4.110 -5.008 -0.533
H 3.397 -3.570 -1.150
H 2.364 -4.973 -0.934
H 1.959 -3.194 0.757
H 1.883 -5.433 1.568
H 2.541 -4.382 2.835
H 3.616 -5.427 1.818
H 3.737 -2.554 1.929
C 5.239 3.831 -1.922
C 6.576 3.141 -1.798
C 6.578 2.090 -0.721
O 7.908 1.659 -0.472
C 7.969 0.559 0.373
N 6.877 2.618 -3.122
H 5.264 4.680 -2.621
H 4.898 4.213 -0.943
H 4.399 3.136 -2.156
H 7.324 3.868 -1.556
H 5.992 1.267 -1.010
H 6.142 2.539 0.192
H 9.030 0.195 0.394
H 7.380 -0.305 -0.017
H 7.683 0.862 1.374
H 6.173 1.991 -3.444
H 7.712 2.057 -3.107
C -5.135 -2.295 -1.415
C -4.217 -3.157 -2.265
C -5.079 -3.836 -3.318
O -6.143 -4.661 -2.637
C -6.614 -5.635 -3.481
N -3.137 -2.419 -2.844
H -5.967 -2.900 -1.065
H -5.493 -1.409 -1.904
H -4.561 -1.965 -0.543
H -3.887 -3.976 -1.571
H -4.519 -4.547 -3.894
H -5.479 -3.143 -4.046
H -5.858 -6.436 -3.618
H -6.911 -5.219 -4.454
H -7.524 -6.139 -3.016
~~~
## Here it is
1.
ORCA calculation (ωB97M-V/def2-TZVPD) on a 23-piece molecular cluster, C52H157N31O23 overall at a distorted geometry.

Geometry as ORCA input:
```
! wB97M-V def2-TZVPD RIJCOSX def2/J DEFGRID3
* xyz 0 1
C 6.221 -0.104 4.841
O 5.598 0.906 4.452
N 5.873 -1.271 4.308
N 7.158 0.045 5.829
H 6.247 -2.106 4.803
H 4.952 -1.328 3.865
H 7.439 1.019 6.034
H 7.969 -0.513 6.038
C -6.892 -1.307 1.654
O -5.954 -1.148 2.437
N -7.522 -2.488 1.540
N -7.277 -0.372 0.806
H -8.427 -2.656 1.121
H -7.085 -3.267 1.971
H -7.739 -0.713 -0.030
H -6.689 0.485 0.898
C -0.529 -7.292 -0.660
O -0.345 -6.133 -0.264
N -1.786 -7.583 -1.059
N 0.584 -8.162 -0.765
H -2.059 -8.431 -1.510
H -2.423 -6.805 -1.098
H 0.586 -9.184 -0.829
H 1.462 -7.746 -0.449
C -2.755 -0.080 3.300
O -1.572 0.049 3.494
N -3.794 -0.208 4.209
N -3.268 0.005 2.094
H -3.517 -0.237 5.209
H -4.536 -0.787 3.847
H -4.274 -0.221 1.960
H -2.652 -0.022 1.291
C 2.373 -1.061 3.801
O 3.392 -1.484 3.264
N 2.489 -0.079 4.794
N 1.082 -1.595 3.566
H 1.674 0.446 5.175
H 3.403 0.102 5.177
H 0.295 -1.040 3.896
H 0.994 -2.049 2.678
C -0.207 3.173 3.108
O 0.116 4.338 3.292
N 0.708 2.203 3.291
N -1.390 2.863 2.586
H 1.504 2.516 3.810
H 0.607 1.216 3.084
H -2.081 3.648 2.502
H -1.699 1.945 2.856
C 3.822 2.714 2.110
O 3.225 3.361 1.259
N 3.836 1.374 2.096
N 4.555 3.381 3.063
H 3.351 1.041 1.280
H 4.354 0.750 2.747
H 5.368 2.864 3.351
H 4.920 4.279 2.763
C 0.637 4.833 -0.631
O 0.575 5.230 -1.793
N 0.274 5.536 0.452
N 1.149 3.663 -0.399
H 0.504 5.262 1.438
H 0.361 6.527 0.310
H 1.523 3.145 -1.226
H 1.554 3.370 0.473
C 3.869 -2.310 -7.210
O 4.654 -3.198 -6.909
N 3.881 -1.052 -6.518
N 2.934 -2.571 -8.277
H 4.553 -1.244 -5.757
H 3.091 -0.477 -6.177
H 2.374 -1.781 -8.632
H 3.259 -3.285 -8.922
C 4.656 -0.810 -2.902
O 4.923 -0.077 -3.827
N 5.345 -1.838 -2.415
N 3.502 -0.613 -2.166
H 5.014 -2.465 -1.713
H 6.001 -2.287 -3.028
H 3.436 -0.886 -1.199
H 2.987 0.250 -2.375
C -3.487 -1.416 -6.682
O -3.448 -1.077 -7.839
N -3.577 -2.725 -6.337
N -3.580 -0.488 -5.616
H -3.626 -3.028 -5.356
H -3.290 -3.401 -7.029
H -2.997 -0.800 -4.855
H -3.362 0.453 -5.975
C 2.432 2.867 -3.840
O 2.142 2.174 -2.881
N 1.913 4.097 -4.103
N 3.287 2.284 -4.776
H 2.354 4.681 -4.783
H 1.260 4.486 -3.487
H 3.977 2.795 -5.271
H 3.729 1.390 -4.449
C -2.932 -3.661 0.980
C -1.838 -3.517 2.045
C -2.163 -4.483 3.169
O -0.485 -3.659 1.480
H -2.731 -3.016 0.123
H -3.909 -3.365 1.353
H -2.969 -4.681 0.646
H -1.845 -2.468 2.297
H -1.855 -5.464 2.896
H -3.203 -4.385 3.494
H -1.618 -4.226 4.052
H -0.521 -4.448 0.907
C -0.100 -0.573 -2.154
C -0.588 -0.622 -0.755
C 0.241 0.193 0.150
O -1.964 -0.253 -0.607
H -0.095 0.445 -2.537
H -0.760 -1.196 -2.790
H 0.958 -0.900 -2.222
H -0.548 -1.634 -0.345
H -0.032 0.061 1.197
H 0.150 1.279 -0.056
H 1.321 -0.027 -0.019
H -2.237 0.468 -1.228
C -4.719 5.510 2.667
C -5.191 4.061 2.359
C -5.542 3.317 3.632
O -6.332 4.094 1.504
H -4.405 6.026 1.744
H -3.943 5.647 3.446
H -5.564 6.122 3.016
H -4.427 3.450 1.879
H -5.804 2.268 3.436
H -6.349 3.779 4.202
H -4.729 3.264 4.352
H -6.807 4.939 1.574
C 3.189 -4.407 -0.537
C 2.935 -3.790 0.820
C 2.725 -4.835 1.839
O 4.047 -2.968 1.112
H 4.110 -5.008 -0.533
H 3.397 -3.570 -1.150
H 2.364 -4.973 -0.934
H 1.959 -3.194 0.757
H 1.883 -5.433 1.568
H 2.541 -4.382 2.835
H 3.616 -5.427 1.818
H 3.737 -2.554 1.929
C 5.239 3.831 -1.922
C 6.576 3.141 -1.798
C 6.578 2.090 -0.721
O 7.908 1.659 -0.472
C 7.969 0.559 0.373
N 6.877 2.618 -3.122
H 5.264 4.680 -2.621
H 4.898 4.213 -0.943
H 4.399 3.136 -2.156
H 7.324 3.868 -1.556
H 5.992 1.267 -1.010
H 6.142 2.539 0.192
H 9.030 0.195 0.394
H 7.380 -0.305 -0.017
H 7.683 0.862 1.374
H 6.173 1.991 -3.444
H 7.712 2.057 -3.107
C -5.135 -2.295 -1.415
C -4.217 -3.157 -2.265
C -5.079 -3.836 -3.318
O -6.143 -4.661 -2.637
C -6.614 -5.635 -3.481
N -3.137 -2.419 -2.844
H -5.967 -2.900 -1.065
H -5.493 -1.409 -1.904
H -4.561 -1.965 -0.543
H -3.887 -3.976 -1.571
H -4.519 -4.547 -3.894
H -5.479 -3.143 -4.046
H -5.858 -6.436 -3.618
H -6.911 -5.219 -4.454
H -7.524 -6.139 -3.016